The reader should find "3.796 2.855" and "-2.215 0.093" in the notes further down, and duplicate these two lines and those between.

/*
102
Properties=species:S:1:pos:R:3:mulliken_charge:R:1 method="wB97M-V/def2-TZVPD" relative_energy_kcal_mol=0.0 gap_ev=10.410 e_lumo_ha=0.0137 e_homo_ev=-10.0
C -2.899 4.189 3.615 -0.153
N -2.535 3.870 6.109 -0.535
C 3.576 -2.998 2.009 0.522
C -0.794 4.327 -1.725 -0.385
C 1.585 -3.916 -1.527 -0.118
H -4.824 -1.742 -1.909 0.474
H -0.467 1.215 4.323 0.002
H -1.176 -0.473 -2.943 -0.606
O -1.250 5.501 -1.024 -0.386
H 1.007 -0.532 -0.264 -0.690
H 3.525 2.285 3.783 0.288
H -4.880 -0.346 1.451 0.192
H -3.403 3.337 3.176 -0.081
O 2.403 0.803 -4.704 -0.590
H -1.742 -5.598 -4.603 0.371
H 0.572 0.680 1.800 -0.745
C 2.304 -2.757 -2.038 0.615
H 0.384 -0.822 2.625 0.154
N -4.216 -4.803 -2.403 -0.483
C -2.690 3.964 4.952 0.348
H 4.606 -0.278 -2.134 0.255
H 2.777 3.956 4.057 0.400
C -0.644 -1.907 0.016 0.424
N -0.849 -2.782 -3.627 -0.214
H -1.985 4.324 3.049 0.071
H -1.835 1.096 5.468 0.327
H -3.439 5.122 3.513 0.418
H 4.024 3.769 2.940 0.381
H 5.325 2.387 -0.420 0.234
H -1.971 0.343 -5.526 0.461
H 4.517 2.146 -2.601 0.559
H 2.619 -1.557 3.097 -0.117
C -0.989 0.089 -5.095 -0.381
C -1.081 -5.308 -3.794 -1.198
C -0.790 1.360 5.380 -0.317
H 4.371 -1.400 3.084 0.276
H -0.837 -0.967 -5.374 0.149
C 3.542 -2.111 3.110 -0.500
N 0.582 -3.630 3.167 -0.429
H 0.306 4.254 -1.713 0.191
H 3.380 -2.788 -1.783 0.470
C 3.179 3.218 3.366 -1.223
C 1.225 0.701 -4.592 0.434
H 0.688 -6.801 3.047 0.328
C -5.328 0.611 1.116 -0.657
C 2.229 3.053 2.302 0.543
H -1.505 -5.643 -2.785 0.256
O 0.589 0.383 -3.426 -0.053
H 0.040 1.939 -5.746 0.242
N 0.967 -4.829 -1.155 -0.525
C 3.834 1.800 -1.853 -0.258
C -1.785 3.654 0.357 0.487
H -1.272 1.307 -3.289 0.071
C -1.706 5.184 0.196 0.311
H 2.887 -0.060 -2.475 -0.337
N 1.447 2.920 1.465 -0.370
H 1.486 -1.885 0.638 -0.409
H -5.081 1.392 1.849 0.099
H -1.035 4.578 -2.785 0.268
H 3.565 -2.666 4.064 0.376
H 1.827 -1.857 -1.646 -0.801
H 3.796 2.855 0.182 0.236
C -4.676 0.986 -0.161 0.452
O 4.161 0.695 1.571 -0.607
H -2.731 3.453 0.839 0.095
C 0.196 -0.321 1.697 0.881
H -0.772 -2.034 -1.064 -0.729
C -4.049 -3.677 -2.215 0.093
H 1.653 -6.236 1.640 0.303
C 0.039 0.477 6.193 0.054
O 3.406 -0.105 -0.436 -0.024
H 0.520 0.496 -6.673 0.396
C 4.278 2.120 -0.422 -0.345
H 2.829 2.193 -1.959 -0.146
O -1.730 -1.136 0.579 -0.358
H -0.573 2.366 5.722 0.281
C 0.633 -1.206 0.511 1.318
C -1.273 -0.235 1.487 0.177
O -2.010 0.534 2.059 -0.551
C 3.679 0.284 -1.834 0.205
N 0.655 -0.218 6.825 -0.424
H -0.042 -6.265 1.517 0.312
C -1.603 3.172 -1.059 0.305
H -6.409 0.466 1.015 0.403
H -0.619 -2.874 0.471 0.376
H -3.182 -1.703 -2.556 -0.152
C -0.978 -3.919 -3.716 0.417
C -0.840 0.346 -3.591 0.632
O -2.202 6.037 0.961 -0.640
H 2.202 -2.757 -3.146 0.463
H -3.405 -2.141 -0.864 -0.036
C 3.990 0.883 0.368 0.239
C -3.844 -2.225 -1.859 0.166
C 0.701 -4.717 2.793 0.543
H -1.024 2.273 -0.995 -0.259
C 0.188 0.834 -5.686 -0.811
C 0.754 -6.064 2.220 -1.046
H -2.529 2.911 -1.563 0.294
N -4.156 1.194 -1.157 -0.482
H -0.955 3.473 0.967 -0.284
H -0.123 -5.844 -3.902 0.341
N 3.681 -3.672 1.077 -0.527
*/

H 3.796 2.855 0.182 0.236
C -4.676 0.986 -0.161 0.452
O 4.161 0.695 1.571 -0.607
H -2.731 3.453 0.839 0.095
C 0.196 -0.321 1.697 0.881
H -0.772 -2.034 -1.064 -0.729
C -4.049 -3.677 -2.215 0.093